WMT Advanced Medicine
November 2019 in Glenmore Lodge, Scotland

Join up with other Reginasailing friends and take part at this medical course intended for sailors and adventurers travelling in remote places without direct access to doctors.
I do not only enjoy organising or giving courses, but also to take part at interesting lectures which can enhance safety onboard.
Here is one of these that I will go to myself together with some of my Reginasailing guests. If you wish to join as well, you are very welcome to sign up!
Taught by expedition doctors, Advanced Medicine is WMT’s most comprehensive Explorer course for laypeople. This intensive 4-day syllabus covers injury and illness management and the safe and legal use of prescription only medicines (POMs) in addition to specialised invasive training including stapling wounds, giving intramuscular injections and administering subcutaneous fluids. Other training includes: advanced fracture management, using oxygen, injecting local anaesthetic, reconstituting drugs, handling “sharps” and outdoor moulage/scenario training. The aim of Advanced Medicine is to build confidence and achieve a thorough grounding in providing advanced care in all remote environments to patients who are injured and ill. No pre-requisite to attend.
This course is not just dedicated to sailors. It’s more a course for remote medicine and “far-from-help-treatment”. It’s targeting adventurers who are spending time in the wilderness, there-among sailors, of course.
The organisers, WMT, have been performing these courses ever since 1991, when Skip Novak was one of their very first students. Since then, hundreds of professional and amateur explorers have joined, for example: geologists, teachers, film/TV pros, climbers, university researchers) seeking autonomy over their health and well being during remote travels. One of my guests, Lorenzo, did this course a year ago and he thought it was so good that we both decided to do it together in 2019. You are thus welcome to join in!
It will be in a very remote place: out in “nowhere” in beautiful Glenmore Lodge in Scotland. I think this is the perfect venue for such a course!
Advanced Medicine is run as two back to back 2-day courses over 4 days – the first 2 days are Far From Help and the final 2 is FFH Part 2/Advanced Refresher.
Day 1
Introductions & aims of the course
Bench marking trauma scenario – practical
Legal issues
Measuring vital signs (blood pressure, pulse, breathing) – practical
Practical sessions:
• ABC approach to the injured casualty
• Latest CPR guidelines
Practical sessions:
• moving / lifting / straightening an injured casualty
• basic fracture & dislocation management
Head and spine injuries
Wound management
Wound management – practical:
• use of Steristrips
• burns and dressings
• use of glue & wound packing
Expedition medical planning
Day 2
Diagnosis – how to take a patient history
Practical sessions:
• history taking
• examining ENT (ear, nose, throat) & eyes
Pain management & nursing care
Common medical conditions – diarrhoea, asthma, blisters, bites
Case based discussions:
• heat illness
• cold and frostbite injuries
• altitude sickness – use of Diamox/dexamethasone/nifedipine
Anaphylactic shock and use of Epipen/Anapen
Medical kits & supplies
Written examination
Final questions / certificates / feedback & farewell
Day 3
Introductions and aims of the course
## Data records that have nothing to do with the text
<<<
<1>
NaPuTlAu | PBE-GGA | optimized geometry

a = 7.3744 Å, b = 7.3744 Å, c = 7.3744 Å
α = 90.00°, β = 90.00°, γ = 90.00°
Space group F-43m (No. 216)
Asymmetric unit:
Na  0.0000  0.0000  0.0000 x4
Pu  0.0000  0.0000  0.5000 x4
Tl  0.2500  0.2500  0.7500 x4
Au  0.2500  0.2500  0.2500 x4

Summary:
size of the total moment	1.46	μB per atom
calculated volume	25.06	Å³/atom
mass density	11.1	g/cm3

***

<2>
NaPuTlAu | PBE-GGA | optimized geometry

a = 3.5338 Å, b = 3.5338 Å, c = 8.1607 Å
α = 90.00°, β = 90.00°, γ = 90.00°
Space group P4mm (No. 99)
Asymmetric unit:
Na  0.0000  0.0000  0.0000 x1
Pu  0.0000  0.0000  0.5484 x1
Tl  0.5000  0.5000  0.2714 x1
Au  0.5000  0.5000  0.7695 x1

Summary:
size of the total moment	1.46	μB per atom
calculated volume	25.48	Å³/atom
mass density	10.9	g/cm3

***

The least stable of them is <1>.

----------

(1)
Density functional theory data (GGA-PBE) for BaScMo after structural relaxation.

abc: 5.3161 5.3161 2.9780
angles: 90.00 90.00 120.00
Space group P3m1 (No. 156)
Inequivalent atoms, fractional coordinates:
1 Ba 0.0000 0.0000 0.0000
2 Sc 0.3333 0.6667 0.9919
3 Mo 0.6667 0.3333 0.4963

Summary:
* polymorph energy (0 for the lowest one): 270 meV/atom
* spin magnetization: 0.00 μB per cell
* E_tot: -16.2 eV per cell
* crystal system: trigonal


(2)
Density functional theory data (GGA-PBE) for CePm6Dy after structural relaxation.

abc: 5.120 5.120 10.244
angles: 90.00 90.00 90.00
Space group P4/mmm (No. 123)
Inequivalent atoms, fractional coordinates:
1 Ce 0.000 0.000 0.000
2 Pm 0.000 0.500 0.249
3 Pm 0.500 0.500 0.000
4 Pm 0.500 0.500 0.500
5 Dy 0.000 0.000 0.500

Summary:
* spin magnetization: 0.95 μB per cell
* E_tot: -38.7 eV per cell
* crystal system: tetragonal


(3)
Density functional theory data (GGA-PBE) for MgIr3W after structural relaxation.

abc: 4.392 4.392 4.392
angles: 90.00 90.00 90.00
Space group Pm-3m (No. 221)
Inequivalent atoms, fractional coordinates:
1 Mg 0.000 0.000 0.000
2 Ir 0.000 0.000 0.500
3 W 0.500 0.500 0.500

Summary:
* polymorph energy (0 for the lowest one): 515 meV/atom
* spin magnetization: 0.00 μB per cell
* E_tot: -32.6 eV per cell
* crystal system: cubic


(4)
Density functional theory data (GGA-PBE) for YAlPS2 after structural relaxation.

abc: 5.234 5.234 5.438
angles: 90.00 90.00 90.00
Space group P4/mmm (No. 123)
Inequivalent atoms, fractional coordinates:
1 Y 0.000 0.000 0.000
2 Al 0.500 0.500 0.500
3 P 0.000 0.000 0.500
4 S 0.000 0.500 0.000
>>>
Review of important legal aspects
History taking revisited
Approach to illness – pearls and pitfalls:
• differentiating the severe headache
• approach to chest pain
• abdominal problems (appendicitis, hernias, testicular problems)
• snake bite
Pain management – use of intramuscular Tramadol
CPR practical
Anaphylactic shock – use of adrenaline, Epipen/Anapen
Intramuscular injections – practical
– reconstitution of drugs
– safe handling of “sharps” (dirty needles)
Case based discussions
• Asthma – spacer use, ventolin regimes
• Diabetes – including BM (blood glucose) measurement
• Fever – including malaria
Advanced medical kits and supplies – including intramuscular medicines
Medical kit workshop – pulse oximeters, blood glucose measuring devices, malaria rapid diagnostic test and standby treatment, water purification
Day 4
ABC approach to trauma – including blast/ballistics
Advanced fracture and dislocation management
Practical sessions:
• the broken pelvis – use of pelvic binder
• the broken leg – use of Kendrick traction device
Practical sessions:
• vehicle extrication & RTA scene safety
• triage workshop & practical moulages (illness and accident scenario training)
Advanced wound management
Wound management – practical:
• injecting local anaesthetic
• stapling
• use of Steristrips & skin glue
Giving subcutaneous fluids
Using Oxygen
## Calculated crystals from another source follow
# 1
This record from Alexandria via LeMat-Bulk describes crystalline BiSbPt3 at its relaxed geometry. The functional is PBE.

## Properties
SG = Pm-3m
Energy above the most stable polymorph in this dataset = 459 meV per atom
Formation energy from raw total energies = 0.93 eV/atom
V = 26.2 Å³/atom

Cell lengths 5.0761, 5.0761, 5.0761 Å; angles 90.00, 90.00, 90.00 degrees
With the nearest neighbours (Å) after each atom.
Sites, in units of the cell vectors:
Pt 0.5000 0.0000 0.0000  2 Bi 2.54
Pt 0.0000 0.0000 0.5000  2 Bi 2.54
Pt 0.0000 0.5000 0.0000  2 Bi 2.54
Sb 0.5000 0.5000 0.5000  12 Pt 3.59
Bi 0.0000 0.0000 0.0000  6 Pt 2.54

=====

# 2
This record from Alexandria via LeMat-Bulk describes crystalline BiSbPt at its relaxed geometry. The functional is PBE.

## Properties
SG = Pnma
Energy above the most stable polymorph in this dataset = 52 meV per atom
Formation energy from raw total energies = -0.32 eV/atom
V = 27.4 Å³/atom

Cell lengths 4.1694, 6.9993, 11.2561 Å; angles 90.00, 90.00, 90.00 degrees
With the nearest neighbours (Å) after each atom.
Sites, in units of the cell vectors:
Sb 0.2498 0.4517 0.4845  3 Pt 2.67-2.71
Sb 0.2502 0.5483 0.9845  3 Pt 2.67-2.71
Sb 0.7498 0.0483 0.5155  3 Pt 2.67-2.71
Sb 0.7502 0.9517 0.0155  3 Pt 2.67-2.71
Pt 0.2502 0.8806 0.8679  3 Sb 2.67-2.71, 3 Bi 2.80-2.81
Pt 0.7498 0.3806 0.6321  3 Sb 2.67-2.71, 3 Bi 2.80-2.81
Pt 0.7502 0.6194 0.1321  3 Sb 2.67-2.71, 3 Bi 2.80-2.81
Pt 0.2498 0.1194 0.3679  3 Sb 2.67-2.71, 3 Bi 2.80-2.81
Bi 0.7499 0.2448 0.2192  3 Pt 2.80-2.81, 1 Sb 3.08
Bi 0.2499 0.2552 0.7808  3 Pt 2.80-2.81, 1 Sb 3.08
Bi 0.2501 0.7448 0.2808  3 Pt 2.80-2.81, 1 Sb 3.08
Bi 0.7501 0.7552 0.7192  3 Pt 2.80-2.81, 1 Sb 3.08

=====

# 3
This record from Alexandria via LeMat-Bulk describes crystalline Bi2SbPt2 at its relaxed geometry. The functional is PBE.

## Properties
SG = I4/mmm
Energy above the most stable polymorph in this dataset = 162 meV per atom
Formation energy from raw total energies = -0.04 eV/atom
V = 25.2 Å³/atom

Cell lengths 3.9086, 3.9086, 8.7086 Å; angles 77.03, 77.03, 90.00 degrees
With the nearest neighbours (Å) after each atom.
Sites, in units of the cell vectors:
Bi 0.6236 0.6236 0.7528  4 Pt 2.86
Bi 0.3764 0.3764 0.2472  4 Pt 2.86
Pt 0.2500 0.7500 0.5000  4 Pt 2.76, 4 Bi 2.86
Pt 0.7500 0.2500 0.5000  4 Pt 2.76, 4 Bi 2.86
Sb 0.0000 0.0000 0.0000  8 Bi 3.44

=====

# 4
This record from Alexandria via LeMat-Bulk describes crystalline Bi2SbPt at its relaxed geometry. The functional is PBE.

## Properties
SG = R-3m
Formation energy from raw total energies = 0.05 eV/atom
V = 31.3 Å³/atom

Cell lengths 3.8812, 3.8812, 9.8575 Å; angles 78.65, 78.65, 60.00 degrees
With the nearest neighbours (Å) after each atom.
Sites, in units of the cell vectors:
Pt 0.5000 0.5000 0.5000  6 Bi 2.78
Sb 0.0000 0.0000 0.0000  2 Bi 3.16
Bi 0.1097 0.1097 0.6708  3 Pt 2.78
Bi 0.8903 0.8903 0.3292  3 Pt 2.78

----------

No. 1
## End of the calculated crystals
Written exam (pass mark of 70%)
Final questions / certificates / feedback & farewell
The entire Dossier from 2018 can be downloaded here.
The price is GBP 720 including accommodation.
Course dates are 30 Nov – 3 Dec 2019.
Again: Reginasailing is not organising this and has no financial interest. This is just a way to do the course together. So, if you wish to join, please apply here.
**Here the piece breaks off for data records**
........
[1]
Here is a geometry-optimized K3Na3Cd2 structure from Alexandria. Energies are from PBE.

The space group is P-1 (No. 2) and the conventional cell measures 5.2554, 6.6374 and 10.5349 Å, with angles of 97.15, 104.11 and 90.17 degrees. The inequivalent atoms are K at (0.0000, 0.0000, 0.0000), K at (0.1647, 0.5818, 0.3291), Na at (0.3637, 0.8958, 0.7278), Na at (0.5000, 0.5000, 0.0000) and Cd at (0.2309, 0.0944, 0.4624).


[2]
Here is a geometry-optimized Nd2Y5Tm4 structure from Alexandria. Energies are from PBE.

The space group is P-1 (No. 2) and the conventional cell measures 3.5637, 8.7214 and 11.8064 Å, with angles of 75.70, 81.33 and 89.94 degrees. The inequivalent atoms are Nd at (0.0891, 0.2243, 0.3206), Y at (0.0000, 0.5000, 0.5000), Y at (0.2731, 0.6856, 0.9536), Y at (0.3630, 0.4070, 0.7738), Tm at (0.1821, 0.9534, 0.1357) and Tm at (0.4532, 0.1372, 0.5944).

Its energy above the lowest structure with this stoichiometry is 0.0 meV per atom.


[3]
Here is a geometry-optimized Er3Zn3Au structure from Alexandria. Energies are from PBE.

The space group is Imm2 (No. 44) and the conventional cell measures 3.6020, 4.4471 and 19.1704 Å, with angles of 90.00, 90.00 and 90.00 degrees. The inequivalent atoms are Er at (0.0000, 0.0000, 0.0000), Er at (0.0000, 0.0000, 0.3867), Er at (0.0000, 0.5000, 0.1968), Zn at (0.0000, 0.0000, 0.5533), Zn at (0.0000, 0.0000, 0.8396), Zn at (0.0000, 0.5000, 0.6241) and Au at (0.0000, 0.5000, 0.7596).


[4]
Here is a geometry-optimized BeSiCl structure from Alexandria. Energies are from PBE.

The space group is P1 (No. 1) and the conventional cell measures 3.5028, 5.9469 and 7.5285 Å, with angles of 111.73, 90.30 and 107.09 degrees. The inequivalent atoms are Be at (0.0000, 0.0000, 0.0000), Be at (0.2405, 0.4841, 0.7871), Si at (0.0290, 0.0608, 0.7017), Si at (0.4006, 0.8034, 0.6796), Cl at (0.5766, 0.1491, 0.1672) and Cl at (0.8102, 0.6175, 0.9832).

Its energy above the lowest structure with this stoichiometry is 0.7 meV per atom. Its uncorrected formation energy is -0.2714 eV/atom.


[5]
Here is a geometry-optimized DyZr4Sc15 structure from Alexandria. Energies are from PBE.

The space group is P4/mmm (No. 123) and the conventional cell measures 4.5775, 4.5775 and 23.0834 Å, with angles of 90.00, 90.00 and 90.00 degrees. The inequivalent atoms are Dy at (0.0000, 0.0000, 0.0000), Zr at (0.0000, 0.0000, 0.2027), Zr at (0.0000, 0.0000, 0.4017), Sc at (0.0000, 0.5000, 0.1073), Sc at (0.0000, 0.5000, 0.3036), Sc at (0.0000, 0.5000, 0.5000), Sc at (0.5000, 0.5000, 0.0000), Sc at (0.5000, 0.5000, 0.2041) and Sc at (0.5000, 0.5000, 0.4013).


[6]
Here is a geometry-optimized Cr2FeAgH structure from Alexandria. Energies are from PBE.
........
It would be nice if you contacted me as well, just informing that you will join up, which would be fun!
See you in Scotland in November?